• Entries:
/*
ORCA calculation (ωB97M-V/def2-TZVPD) on an isolated ion of composition C2HO3S2 and charge -1 in a non-equilibrium geometry.

Structure (SMILES) = O=C([O-])C1(O)SS1
HOMO level = -4.14 eV
E_LUMO = 3.254 eV

Geometry as ORCA input:
```
! wB97M-V def2-TZVPD RIJCOSX def2/J DEFGRID3
* xyz -1 1
O -1.67 0.79 0.74
C -1.26 0.09 -0.14
O -1.70 -0.61 -1.01
C 0.37 -0.18 0.01
O 1.31 0.97 0.77
S 0.99 -1.81 0.44
S 1.15 -0.94 -1.39
H 0.80 1.69 0.58
*
```
*/

• Assignment:
Now type out the rows further up character by character.

• Solution:
ORCA calculation (ωB97M-V/def2-TZVPD) on an isolated ion of composition C2HO3S2 and charge -1 in a non-equilibrium geometry.

Structure (SMILES) = O=C([O-])C1(O)SS1
HOMO level = -4.14 eV
E_LUMO = 3.254 eV

Geometry as ORCA input:
```
! wB97M-V def2-TZVPD RIJCOSX def2/J DEFGRID3
* xyz -1 1
O -1.67 0.79 0.74
C -1.26 0.09 -0.14
O -1.70 -0.61 -1.01
C 0.37 -0.18 0.01
O 1.31 0.97 0.77
S 0.99 -1.81 0.44
S 1.15 -0.94 -1.39
H 0.80 1.69 0.58
*
```